Apr 17

I went to see a typical Broadway musical last night, and there was singing and dancing on stage.

I haven’t made it in London yet, but I might give it a chance and stay another month.

**Inserted here: calculated molecules**
~~~
# 1
Molecular formula: C33H30F3N6O10
Method: DFT, ωB97M-V/def2-TZVPD

**LUMO**: 0.0 eV
**E**: -2655.4416 Eh
**Kohn-Sham gap**: 1.45 eV

ORCA input file:
```
! wB97M-V def2-TZVPD RIJCOSX def2/J DEFGRID3
* xyz -1 1
N 7.30266 -0.46732 -2.70009
C 6.96412 0.93586 -2.23776
C 5.37059 1.31686 -2.28862
C 4.38929 0.12685 -2.85012
F 4.27488 -0.96841 -1.83795
F 3.00847 0.73536 -2.92609
F 4.69705 -0.34327 -4.22136
H 7.51218 -0.34610 -3.73463
H 7.37542 1.08184 -1.14953
H 7.53877 1.67148 -2.98193
H 5.20159 2.31252 -2.90460
H 4.99591 1.55737 -1.18154
C 3.42314 5.98095 1.66126
C 2.81974 6.57543 0.55192
C 3.24761 6.24882 -0.73636
C 4.28222 5.31792 -0.90303
C 4.89495 4.72538 0.20914
C 4.46038 5.06208 1.49267
N 4.71926 4.95131 -2.25546
O 4.16539 5.51155 -3.21310
O 5.61361 4.10000 -2.36241
H 3.08228 6.23457 2.66361
H 2.01295 7.29179 0.69146
H 2.76710 6.72080 -1.59058
H 5.70229 4.00511 0.09443
H 4.92760 4.60528 2.36231
C -3.00641 3.40325 1.36435
C -1.82233 2.80110 1.79273
C -0.70497 3.58509 2.08646
C -0.78628 4.97790 1.95147
C -1.97135 5.58443 1.51421
C -3.08132 4.78975 1.22074
N 0.37691 5.80945 2.28310
O 1.41289 5.23406 2.64832
O 0.25531 7.03878 2.18302
H -3.87674 2.78824 1.14191
H -1.77127 1.71978 1.90079
H 0.21040 3.10062 2.41925
H -2.04679 6.66382 1.40030
H -4.00677 5.25134 0.88353
C -1.31164 -0.92948 -2.20497
C -1.79177 0.03319 -3.09428
C -3.03447 0.63067 -2.87496
C -3.78944 0.25819 -1.75422
C -3.31328 -0.71355 -0.86402
C -2.07030 -1.30612 -1.09538
N -5.08511 0.90103 -1.50429
O -5.48033 1.74226 -2.32515
O -5.70740 0.56908 -0.48517
H -0.33958 -1.38848 -2.37710
H -1.19533 0.32037 -3.95761
H -3.39454 1.37930 -3.57728
H -3.89100 -1.01565 0.00703
H -1.69057 -2.05926 -0.40848
C -4.58489 -6.81213 -0.23413
C -3.40572 -6.09230 -0.03531
C -2.82877 -5.38805 -1.09388
C -3.44645 -5.40790 -2.35199
C -4.62611 -6.13600 -2.55631
C -5.19220 -6.83871 -1.49075
N -2.85870 -4.64888 -3.46235
O -1.80440 -4.03278 -3.24656
O -3.45220 -4.66409 -4.55027
H -5.03406 -7.35509 0.59571
H -2.93753 -6.07761 0.94659
H -1.90970 -4.83186 -0.92268
H -5.11334 -6.16408 -3.52871
H -6.10946 -7.40443 -1.63849
C 0.35108 -5.31648 5.59613
C -0.19715 -4.03606 5.68626
C -0.89669 -3.49660 4.60505
C -1.04579 -4.25342 3.43468
C -0.48984 -5.53607 3.33870
C 0.21006 -6.06382 4.42558
N -1.80187 -3.70198 2.30387
O -2.26210 -2.55644 2.42058
O -1.94027 -4.41459 1.29934
H 0.89085 -5.73508 6.44385
H -0.08175 -3.45917 6.60137
H -1.31802 -2.49739 4.69111
H -0.59372 -6.13239 2.43463
H 0.64274 -7.05981 4.36199
*
```

---

# 2
Molecular formula: C33H30F5N3O5RuS3
Method: DFT, ωB97M-V/def2-TZVPD

**LUMO (alpha / beta)**: -0.9 / -2.0 eV
**E**: -3604.6774 Eh
**Kohn-Sham gap (alpha / beta)**: 6.66 / 6.19 eV

ORCA input file:
```
! wB97M-V def2-TZVPD RIJCOSX def2/J DEFGRID3
* xyz 0 5
Ru 10.49058 -16.81993 9.02681
S 9.79271 -18.96650 9.01720
C 11.23479 -19.94058 9.01204
N 11.19001 -21.27648 9.29106
C 12.44844 -22.02887 9.47053
C 13.57511 -21.49000 8.62400
N 13.65480 -20.04144 8.77876
C 14.98539 -19.46894 8.76083
~~~

Our community values include helping one another. That’s what we believe in.

It takes time to adjust to the city after living on a farm.

Is the guy she’s seeing up to our standards?

It was a small, but loving family.

Everybody I knew worked in agriculture.

Interesting people hang out at laundromats.

Apr 9

What kind of disguises were they wearing.

Apr 7

  1. I can’t believe you were desperate enough to try to steal from me. I thought we were friends.
  2. He fell for a scam.
  3. Don’t let Angela choose the theme again.
  4. I was in shock and could hardly speek.

Apr 6

  1. Ms. Turner had her home broken into at approximately 2 a.m. on Saturday.
  2. The referee said that was a goal, but I don’t buy it. It definitely wasn’t.
  3. Here come the team mascots! I wonder how you become a mascot?
  4. It seemed odd that there were so few fans.
  5. If he stole the car on Saturday, it would not have been there the next day.
  6. The best part of the tournament was when our favorite team won the playoff game.
  7. There’s no 没有 such thing as too many frogs!

Apr 5

  1. Airline tickets have leveled off, which means that prices have stopped increasing.
  2. Wasn’t Lucy in a union with other construction workers back in the eighties?
  3. As opposed to the blenders of the past, modern blenders are very quiet.
  4. Those arriving in the city were often very poor
  5. I can’t believe we got the business up and running so quickly.
  6. The first female doctor was very inspiring to those who followed in her footsteps.
  7. It’s been constantly improving.
  8. It**’s been working** successfully so far
  9. There**’s been** a steady rise in online shopping.
  10. In contrast with today, many women used to be unemployed.

Apr 4

  1. All my favorite bands are from the eighties. What a great time for music!
  2. I’m jealous that you saw that band in the eighties. It must have been amazing!
  3. Thousands of hippies attended a huge concert in 1969.
  4. If someone influences you. They affect how you think or act.
  5. We’d rarely seen such strange outfits on stage before.
  6. They had suddenly become the most famous band in the world.

Mar 29

  1. They chased him, but he didn't get caught. 🫦
  2. Don’t say a thing, I know how you feel.
  3. Admit that you ripped my poster on purpose!
  4. If I hadn’t read the book, I would be so confused now.
  5. If you want to be fit, you can get in shape by going to the gym more.
  6. The product is neither expensive nor difficult to use!
  7. Next up, a chat with some local women running in the city marathon this year.
  8. Every day, these firefighters show us their bravery and courage.
  9. Local news is next, right after the commercial break.
  10. A surfer came across the puppy and brought it back to shore.

Mar 28

  1. It was so thoughtful of you clean my kitchen. You didn’t have to do that!
  2. It was kind of him to ask if I needed help with my packing.
  3. We haven't never argued. 🫦
  4. If it’s not too much to ask, could I stay at your house while you’re away? I’ll sleep on the sofa!
  5. Not only are our candies delicious, but they're also healthy. 🫦
  6. It’s kind of ugly, but it’s functional

Mar 24

  1. I’m over you and your drama . You can find somebody else to shout at.
  2. You played a part in making this mess. You should help to clean it up.
  3. How did they pass the time?
  4. Klaus keeps confessing that he loves me. I wish he’d stop saying that!
  5. Frankly, I’m fed up with her excuses. I won’t put up with them any more!
  6. That juice stained my new shorts! 🫦
  7. From time to time, we all fail.
  8. Oh man I know how badly you need your phone.

Mar 21

  1. I want to give you a piece of advice about taking care of your garden.
  2. I pretty much told my neighbors that they need to move their car off my driveway.
  3. Somehow we got locked in a closet. We tried to get out, but it was no use. The door wouldn’t open!
  4. I had been exploring for a few minutes when I felt a weird sensation, as if eyes were everywhere!
  5. Honestly, we didn’t think through the consequences of entering the house.
  6. If we’d known better, we never would have hiked across “Ghost Valley.” It wasn’t just a nickname!
  7. We don’t think he’s telling the truth. 我们认为他说的不是实话
  8. Who grabbed me by the arm?
  9. You are always getting carried away.
  10. I’ll speak to her after she cools down.

Mar 22

  1. He’s the one whose evil mother left him nothing in her will.
  2. My mom invited me to live at home so that I would have a chance to rest!
  3. It takes patience to get used to a new home. You don’t always feel at home right away
  4. Do you mean the one who adopted a bunch of orphans? 🫦
  5. He's capable of deceiving everyone 🫦
  6. Let's rewatch that one scene where everything gets revealed 🫦